Could you transcribe the whole of the notes further down unchanged?
- - -
# PaV4O12
Simulated X-ray powder pattern, copper Kα. Input: a cell relaxed with GGA+U.

Most intense lines, 10 to 90 degrees two-theta, by angle:
d 5.313, intensity 100.0; d 5.291, intensity 26.8; d 5.227, intensity 25.3; d 3.070, intensity 31.1; d 3.034, intensity 24.0; d 2.649, intensity 33.2

Cell and atoms:
Cell lengths 6.460, 6.460, 6.491 Å; angles 109.92, 109.89, 108.02 degrees
Space group P1 (No. 1)
Asymmetric unit:
Pa  0.000  0.000  0.000 (multiplicity 1)
V  0.036  0.038  0.514 (multiplicity 1)
V  0.044  0.525  0.009 (multiplicity 1)
V  0.522  0.043  0.006 (multiplicity 1)
V  0.523  0.522  0.495 (multiplicity 1)
O  0.062  0.817  0.257 (multiplicity 1)
O  0.178  0.426  0.243 (multiplicity 1)
O  0.191  0.945  0.760 (multiplicity 1)
O  0.292  0.292  0.604 (multiplicity 1)
O  0.298  0.692  0.012 (multiplicity 1)
O  0.426  0.178  0.242 (multiplicity 1)
O  0.572  0.822  0.777 (multiplicity 1)
O  0.692  0.298  0.011 (multiplicity 1)
O  0.702  0.702  0.423 (multiplicity 1)
O  0.817  0.063  0.258 (multiplicity 1)
O  0.822  0.572  0.777 (multiplicity 1)
O  0.945  0.191  0.761 (multiplicity 1)

----------

# 1
The following is a calculated XRD peak list of Ba4Te3Au. It was derived from a structure optimized by DFT (PBE), using Cu Kα (λ = 1.5418 Å).
No peak broadening, texture or thermal motion is included.

Most intense lines, 2θ from 15° to 90°, in order of falling intensity:
2θ (°)  I_rel
25.5  100
36.1  27
36.5  26
44.9  14
52.3  14
36.2  13
36.4  13
58.7  13
59.4  12
65.6  9

Crystal structure
a b c (Å): 6.996 4.938 9.926
angles (deg): 90.00 91.03 90.00
Space group Pm (No. 6)
Symmetry-distinct sites (fractional):
Ba  0.000  0.000  0.000 [1 per cell]
Ba  0.007  0.000  0.500 [1 per cell]
Ba  0.497  0.500  0.245 [1 per cell]
Ba  0.513  0.500  0.751 [1 per cell]
Te  0.013  0.500  0.751 [1 per cell]
Te  0.507  0.000  0.498 [1 per cell]
Te  0.997  0.500  0.249 [1 per cell]
Au  0.499  0.000  0.998 [1 per cell]

# 2
The following is a calculated XRD peak list of Ba2Tl7Au. It was derived from a structure optimized by DFT (PBE), using Cu Kα (λ = 1.5418 Å).
No peak broadening, texture or thermal motion is included.

Most intense lines, 2θ from 15° to 90°, in order of falling intensity:
2θ (°)  I_rel
29.7  100
34.3  77
39.0  44
30.8  39
28.9  36
29.6  33
31.6  33
30.6  30
32.5  28
57.6  25

Crystal structure
a b c (Å): 22.078 5.235 10.579
angles (deg): 90.00 90.00 90.00
Space group Pnma (No. 62)
Symmetry-distinct sites (fractional):
Ba  0.041  0.250  0.250 [4 per cell]
Ba  0.211  0.250  0.004 [4 per cell]
Tl  0.049  0.250  0.598 [4 per cell]
Tl  0.054  0.250  0.895 [4 per cell]
Tl  0.089  0.750  0.040 [4 per cell]
Tl  0.103  0.750  0.475 [4 per cell]
Tl  0.147  0.750  0.767 [4 per cell]
Tl  0.200  0.250  0.647 [4 per cell]
Tl  0.204  0.250  0.349 [4 per cell]
Au  0.174  0.750  0.241 [4 per cell]

# 3
The following is a calculated XRD peak list of BaTl3Au. It was derived from a structure optimized by DFT (PBE), using Cu Kα (λ = 1.5418 Å).
No peak broadening, texture or thermal motion is included.

Most intense lines, 2θ from 15° to 90°, in order of falling intensity:
2θ (°)  I_rel
29.7  100
37.4  63
38.4  53
39.6  33
27.8  30
55.6  25
62.7  24
68.1  22
53.9  22
19.7  22

Crystal structure
a b c (Å): 4.811 4.811 12.927
angles (deg): 90.00 90.00 90.00
Space group I4mm (No. 107)
Symmetry-distinct sites (fractional):
Ba  0.000  0.000  0.000 [2 per cell]
Tl  0.000  0.000  0.614 [2 per cell]
Tl  0.000  0.500  0.266 [4 per cell]
Au  0.000  0.000  0.397 [2 per cell]

# 4
The following is a calculated XRD peak list of BaUAu. It was derived from a structure optimized by DFT (PBE), using Cu Kα (λ = 1.5418 Å).
No peak broadening, texture or thermal motion is included.

Most intense lines, 2θ from 15° to 90°, in order of falling intensity:
2θ (°)  I_rel
35.4  100
21.4  41
63.5  38
41.7  23
50.9  18
85.6  17
74.8  12
55.8  10
78.9  8
67.8  8

Crystal structure
a b c (Å): 7.178 7.178 7.178
angles (deg): 90.00 90.00 90.00
Space group F-43m (No. 216)
- - -
# PaV4O12
Simulated X-ray powder pattern, copper Kα. Input: a cell relaxed with GGA+U.

Most intense lines, 10 to 90 degrees two-theta, by angle:
d 5.313, intensity 100.0; d 5.291, intensity 26.8; d 5.227, intensity 25.3; d 3.070, intensity 31.1; d 3.034, intensity 24.0; d 2.649, intensity 33.2

Cell and atoms:
Cell lengths 6.460, 6.460, 6.491 Å; angles 109.92, 109.89, 108.02 degrees
Space group P1 (No. 1)
Asymmetric unit:
Pa  0.000  0.000  0.000 (multiplicity 1)
V  0.036  0.038  0.514 (multiplicity 1)
V  0.044  0.525  0.009 (multiplicity 1)
V  0.522  0.043  0.006 (multiplicity 1)
V  0.523  0.522  0.495 (multiplicity 1)
O  0.062  0.817  0.257 (multiplicity 1)
O  0.178  0.426  0.243 (multiplicity 1)
O  0.191  0.945  0.760 (multiplicity 1)
O  0.292  0.292  0.604 (multiplicity 1)
O  0.298  0.692  0.012 (multiplicity 1)
O  0.426  0.178  0.242 (multiplicity 1)
O  0.572  0.822  0.777 (multiplicity 1)
O  0.692  0.298  0.011 (multiplicity 1)
O  0.702  0.702  0.423 (multiplicity 1)
O  0.817  0.063  0.258 (multiplicity 1)
O  0.822  0.572  0.777 (multiplicity 1)
O  0.945  0.191  0.761 (multiplicity 1)

----------

# 1
The following is a calculated XRD peak list of Ba4Te3Au. It was derived from a structure optimized by DFT (PBE), using Cu Kα (λ = 1.5418 Å).
No peak broadening, texture or thermal motion is included.

Most intense lines, 2θ from 15° to 90°, in order of falling intensity:
2θ (°)  I_rel
25.5  100
36.1  27
36.5  26
44.9  14
52.3  14
36.2  13
36.4  13
58.7  13
59.4  12
65.6  9

Crystal structure
a b c (Å): 6.996 4.938 9.926
angles (deg): 90.00 91.03 90.00
Space group Pm (No. 6)
Symmetry-distinct sites (fractional):
Ba  0.000  0.000  0.000 [1 per cell]
Ba  0.007  0.000  0.500 [1 per cell]
Ba  0.497  0.500  0.245 [1 per cell]
Ba  0.513  0.500  0.751 [1 per cell]
Te  0.013  0.500  0.751 [1 per cell]
Te  0.507  0.000  0.498 [1 per cell]
Te  0.997  0.500  0.249 [1 per cell]
Au  0.499  0.000  0.998 [1 per cell]

# 2
The following is a calculated XRD peak list of Ba2Tl7Au. It was derived from a structure optimized by DFT (PBE), using Cu Kα (λ = 1.5418 Å).
No peak broadening, texture or thermal motion is included.

Most intense lines, 2θ from 15° to 90°, in order of falling intensity:
2θ (°)  I_rel
29.7  100
34.3  77
39.0  44
30.8  39
28.9  36
29.6  33
31.6  33
30.6  30
32.5  28
57.6  25

Crystal structure
a b c (Å): 22.078 5.235 10.579
angles (deg): 90.00 90.00 90.00
Space group Pnma (No. 62)
Symmetry-distinct sites (fractional):
Ba  0.041  0.250  0.250 [4 per cell]
Ba  0.211  0.250  0.004 [4 per cell]
Tl  0.049  0.250  0.598 [4 per cell]
Tl  0.054  0.250  0.895 [4 per cell]
Tl  0.089  0.750  0.040 [4 per cell]
Tl  0.103  0.750  0.475 [4 per cell]
Tl  0.147  0.750  0.767 [4 per cell]
Tl  0.200  0.250  0.647 [4 per cell]
Tl  0.204  0.250  0.349 [4 per cell]
Au  0.174  0.750  0.241 [4 per cell]

# 3
The following is a calculated XRD peak list of BaTl3Au. It was derived from a structure optimized by DFT (PBE), using Cu Kα (λ = 1.5418 Å).
No peak broadening, texture or thermal motion is included.

Most intense lines, 2θ from 15° to 90°, in order of falling intensity:
2θ (°)  I_rel
29.7  100
37.4  63
38.4  53
39.6  33
27.8  30
55.6  25
62.7  24
68.1  22
53.9  22
19.7  22

Crystal structure
a b c (Å): 4.811 4.811 12.927
angles (deg): 90.00 90.00 90.00
Space group I4mm (No. 107)
Symmetry-distinct sites (fractional):
Ba  0.000  0.000  0.000 [2 per cell]
Tl  0.000  0.000  0.614 [2 per cell]
Tl  0.000  0.500  0.266 [4 per cell]
Au  0.000  0.000  0.397 [2 per cell]

# 4
The following is a calculated XRD peak list of BaUAu. It was derived from a structure optimized by DFT (PBE), using Cu Kα (λ = 1.5418 Å).
No peak broadening, texture or thermal motion is included.

Most intense lines, 2θ from 15° to 90°, in order of falling intensity:
2θ (°)  I_rel
35.4  100
21.4  41
63.5  38
41.7  23
50.9  18
85.6  17
74.8  12
55.8  10
78.9  8
67.8  8

Crystal structure
a b c (Å): 7.178 7.178 7.178
angles (deg): 90.00 90.00 90.00
Space group F-43m (No. 216)